SmartAgriHubs-Connecting the dots to unleash the innovation potential for digital transformation of the European agri-food sector
Acronym: SmartAgriHubs
Implementation period: 01/11/2018 - 31/10/2022
GA number: 818182
Type of Project: Horizon 2020
Internet presentation:

Project aim is to realize the digitization of European agriculture by fostering an agricultural innovation ecosystem dedicated to excellence, sustainability, and success.
About the project: The project is working on consolidation, activation, and extension of the current ecosystem by building a network of Digital Innovation Hubs (DIHs) that will boost the uptake of digital solutions by the farming sector. This will be achieved by integrating technology and business support in a local one-stop-shop approach involving all regions and all relevant players in Europe.
The heart of the project is formed by 28 flagship innovation experiments demonstrating digital innovations in agriculture, facilitated by DIHs from nine Regional Clusters including all European member states. Concurrently, the project will improve the maturity of innovation services of DIHs so that digital innovations will be replicated across Europe and widely adopted by European farmers.
A lean multi-actor approach focusing on user acceptability, stakeholder engagement and sustainable business models will boost technology and market readiness levels and bring user adoption to the next level. This will be enhanced by synergetic effects between SAHs and the Regional Strategy for Research and Innovation for Smart Specialization – RIS3, since the project will work with European regions to maximize the return of European investments, including regional structural funds and private capital. Open Calls with a total budget of ±6 M€ will expand the network and ensure that technological developments and emerging challenges of the agri-food sector are incorporated in the DIH service portfolio.
SAHs inclusive structure and ambitious targets will bring the entire European ecosystem together, connecting the dots to ensure global leadership for Europe in the AgTech market. The consortium, led by Wageningen Research and other partners of previous key projects such as IoF2020, FIWARE, S3P Agri-Food and I4MS, will leverage the existing ecosystem and guarantee a maximum ROI for European taxpayers and a vital agri-food sector producing adequate and safe food for future generations.

## Misplaced materials data
/*
(1)
K2YHgBr6: optimized geometry, PBE-GGA. Values from VASP.

The structure in Quantum ESPRESSO input format:
```
&SYSTEM
  ibrav = 0, nat = 10, ntyp = 4
/
ATOMIC_SPECIES
K 39.10 K.upf
Y 88.91 Y.upf
Hg 200.59 Hg.upf
Br 79.90 Br.upf
ATOMIC_POSITIONS crystal
K 0.750 0.750 0.750
K 0.250 0.250 0.250
Y 0.000 0.000 0.000
Hg 0.500 0.500 0.500
Br 0.760 0.240 0.240
Br 0.240 0.240 0.760
Br 0.240 0.760 0.760
Br 0.240 0.760 0.240
Br 0.760 0.240 0.760
Br 0.760 0.760 0.240
CELL_PARAMETERS angstrom
-4.552 2.544 6.387
-8.115 -1.454 0.117
-3.126 -5.503 5.285
```

Values from the calculation:
E = -3.299 eV/atom
symmetry = Fm-3m (225)
DFT formation energy = -1738 meV per atom

***

(2)
PrCd11: optimized geometry, PBE-GGA. Values from VASP.

The structure in Quantum ESPRESSO input format:
```
&SYSTEM
  ibrav = 0, nat = 36, ntyp = 2
/
ATOMIC_SPECIES
Pr 140.91 Pr.upf
Cd 112.41 Cd.upf
ATOMIC_POSITIONS crystal
Pr 0.000 0.000 0.500
Pr 0.000 0.500 0.000
Pr 0.500 0.000 0.000
Cd 0.500 0.500 0.500
Cd 0.155 0.155 0.845
Cd 0.155 0.845 0.155
Cd 0.845 0.155 0.155
Cd 0.845 0.845 0.845
Cd 0.845 0.845 0.155
Cd 0.845 0.155 0.845
Cd 0.155 0.845 0.845
Cd 0.155 0.155 0.155
Cd 0.345 0.345 0.000
Cd 0.345 0.000 0.655
Cd 0.000 0.345 0.655
Cd 0.345 0.655 0.000
Cd 0.345 0.000 0.345
Cd 0.000 0.655 0.345
Cd 0.655 0.345 0.000
Cd 0.655 0.000 0.345
Cd 0.000 0.345 0.345
Cd 0.655 0.655 0.000
Cd 0.655 0.000 0.655
Cd 0.000 0.655 0.655
Cd 0.265 0.265 0.500
Cd 0.265 0.500 0.735
Cd 0.500 0.265 0.735
Cd 0.265 0.735 0.500
Cd 0.265 0.500 0.265
Cd 0.500 0.735 0.265
Cd 0.735 0.265 0.500
Cd 0.735 0.500 0.265
Cd 0.500 0.265 0.265
Cd 0.735 0.735 0.500
Cd 0.735 0.500 0.735
Cd 0.500 0.735 0.735
CELL_PARAMETERS angstrom
-6.103 -0.401 -7.227
-7.137 -1.246 6.096
-1.209 9.377 0.500
```

Values from the calculation:
E = -1.391 eV/atom
symmetry = Pm-3m (221)
DFT formation energy = -147 meV per atom

***

(3)
Mg6TiFe: optimized geometry, PBE-GGA. Values from VASP.

The structure in Quantum ESPRESSO input format:
```
&SYSTEM
  ibrav = 0, nat = 16, ntyp = 3
/
ATOMIC_SPECIES
Mg 24.30 Mg.upf
Ti 47.87 Ti.upf
Fe 55.84 Fe.upf
ATOMIC_POSITIONS crystal
Mg 0.500 0.251 0.424
Mg 0.500 0.749 0.424
Mg 0.000 0.755 0.085
Mg 0.000 0.245 0.085
Mg 0.000 0.000 0.312
Mg 0.000 0.500 0.325
Mg 0.500 0.751 0.924
Mg 0.500 0.249 0.924
Mg 0.000 0.255 0.585
Mg 0.000 0.745 0.585
Mg 0.000 0.500 0.812
Mg 0.000 0.000 0.825
Ti 0.500 0.500 0.175
Ti 0.500 0.000 0.675
Fe 0.500 0.000 0.171
Fe 0.500 0.500 0.671
CELL_PARAMETERS angstrom
4.814 0.000 0.000
0.000 5.724 0.000
0.000 0.000 10.812
```

Values from the calculation:
E = -3.021 eV/atom
distance to the lowest polymorph of the same formula = 60 meV/atom
DFT formation energy = 225 meV per atom

***

(4)
MgAl2As2H18O18: optimized geometry, PBE-GGA. Values from VASP.

The structure in Quantum ESPRESSO input format:
```
&SYSTEM
  ibrav = 0, nat = 41, ntyp = 5
/
ATOMIC_SPECIES
Mg 24.30 Mg.upf
Al 26.98 Al.upf
As 74.92 As.upf
H 1.01 H.upf
O 16.00 O.upf
ATOMIC_POSITIONS crystal
Mg 0.500 0.000 0.500
*/
This project has received funding from the European Union’s Horizon 2020 research and innovation program under grant agreement No. 818182.
1) Digital Innovation Hubs
2) BioSense Accelerator